
The list gets longer every day . Hard to imagine so many traitors in one small place .

As usual you have an exercise where you get all the pictures you need, then another day for the event itself. Just like Sandy Hook – it was a 2-days FEMA drill. People appears to be very relaxed, considering that 26 people have died. It seems like many people participate in this scam.

Thanks for your support mukkaspec , have a great weekend !

No time frame as usual . We are just setting the stage for the future jury who will hear this case . ps : FUCK RATNEKI !

Hint : It is the "nest" !

Next time out we will definitely go by there and film it . We just saw the two street signs marking the location in another video . We were stopped and turned around very aggressively that night when we came upon the roadblock on the highway . I actually thought I was going to have to arrest a pig for assault but as soon as I told him I would make a citizen’s arrest on him for assault if he put his fucking hands on me he backed off quick . I may release the video of the altercation in the future but when I was through with him I actually felt bad for the young guy who had just received a reality check and don’t want to totally embarrass him to his fellow co-workers . That may change as they continue to piss me off .

We have met her claimed to be aunt and uncle on film in a church service . She is the very first cemetery plot on the right in the pictures . They are the ones who told us where everyone in this hoax lives . They thought we were looking to move into the area and spilled the beans big time !

We are putting together videos of these lying scumbags changing their stories multiple times . They can tell it one more time for a jury !

You know it , waiting for the shoe to drop so we can get this before a jury on anything they manufacture . They get us in a courtroom they know they are fucked and we welcome the challenge .

**Records of molecules, kept here for reference**
No. 1
The following is a DFT calculation (ωB97M-V with the def2-TZVPD basis set) of 4 unconnected molecules or ions with the total composition C4H16N2O2.

Results
Frontier orbital gap   6.313 eV
Strongest force on any atom   6.27 eV/A
Charge   +2
Energy relative to the best compared isomer or geometry (same formula, charge and spin)   137.8 kcal per mole
2S+1   1
HOMO level   -17.62 eV

Atoms and positions in Å:
C1 -0.70 0.84 -0.77
C2 0.55 0.02 -1.33
C3 1.66 -0.56 -0.53
C4 2.87 0.05 -0.47
N1 3.82 -0.29 0.44
N2 -1.78 -0.10 -0.22
H1 -0.46 1.64 -0.04
H2 -1.29 1.30 -1.58
H3 0.18 -0.87 -1.92
H4 0.97 0.78 -2.01
H5 1.71 -1.48 0.07
H6 3.14 0.89 -1.13
H7 0.94 0.54 1.47
H8 3.73 -1.04 1.10
H9 4.79 0.16 0.45
H10 -1.83 -0.87 -0.84
H11 -1.41 -0.54 0.68
H12 -2.76 0.25 -0.11
H13 -4.92 0.79 -0.75
H14 -4.46 1.70 0.41
O1 -4.37 0.80 0.06
H15 0.51 -0.80 2.07
H16 -0.72 -1.62 2.87
O2 -0.18 -1.59 2.06



No. 2
The following is a DFT calculation (ωB97M-V with the def2-TZVPD basis set) of 3 unconnected molecules or ions with the total composition C4H16N2O2.

Results
Frontier orbital gap   9.973 eV
Strongest force on any atom   3.31 eV/A
Charge   +2
Energy relative to the best compared isomer or geometry (same formula, charge and spin)   44.0 kcal per mole
2S+1   1
HOMO level   -17.14 eV

Atoms and positions in Å:
C1 2.20 1.20 -1.35
C2 1.05 0.37 -0.78
C3 0.88 0.57 0.74
C4 -0.42 -0.53 2.45
N1 -0.32 -0.17 1.24
N2 3.33 0.44 -1.95
H1 1.69 1.77 -2.14
H2 2.36 2.07 -0.69
H3 0.13 0.69 -1.33
H4 1.13 -0.69 -1.02
H5 1.73 0.52 1.42
H6 0.65 1.64 0.91
H7 0.26 -0.35 3.28
H8 -1.32 -1.06 2.75
H9 -1.17 -0.36 0.66
H10 2.91 -0.19 -2.65
H11 3.84 -0.07 -1.23
H12 4.02 1.10 -2.32
H13 -3.54 -1.00 1.90
H14 -3.16 -1.82 0.65
O1 -2.77 -1.30 1.40
H15 -4.53 -0.15 -0.40
H16 -4.80 -1.66 -0.93
O2 -4.16 -1.01 -0.61



Electronic energy
In order: -421.197965; -421.347547
Unit: hartree

=====

13
Properties=species:S:1:pos:R:3 method="wB97M-V/def2-TZVPD" homo_ev="-4.6463 / -4.5766" relative_energy_kj_mol=444.1 total_charge=-1 max_force_ev_per_a=3.61 homo_lumo_gap_ev="7.209 / 7.237"
C 1.226 0.811 0.013
C 1.135 -0.207 0.938
C 0.387 1.330 -1.122
C 0.001 -1.039 1.480
C -0.779 0.982 -1.600
C -1.196 -1.121 0.943
O -1.443 -1.729 -1.510
O -3.123 -0.023 -0.643
P -1.747 -0.537 -0.676
H 2.169 1.354 0.232
H 2.069 -0.497 1.274
H 0.881 2.130 -1.754
H 0.420 -1.453 2.425

11
Properties=species:S:1:pos:R:3 method="wB97M-V/def2-TZVPD" homo_ev=-8.3915 relative_energy_kj_mol=430.5 max_force_ev_per_a=10.82 homo_lumo_gap_ev=8.060
C 2.046 -0.427 -1.133
C 1.238 0.097 -0.457
C -0.001 0.172 -0.124
C -0.812 -1.056 0.136
S -0.400 -2.391 -0.646
C -0.861 1.601 0.190
C -0.447 0.927 1.174
H 2.822 -0.995 -1.629
H -1.634 -0.982 0.863
H -0.900 2.456 -0.389
H -1.052 0.599 2.014

16
Properties=species:S:1:pos:R:3 method="wB97M-V/def2-TZVPD" homo_ev=-8.4821 relative_energy_kj_mol=88.2 max_force_ev_per_a=1.44 homo_lumo_gap_ev=9.324
C 0.965 -0.518 -1.097
C -0.334 -1.987 0.310
C 1.218 0.371 0.090
C 0.065 -1.267 1.368
C -0.856 1.444 0.028
**Here the piece continues**

True grit !

If it’s on PBS, the propaganda bullsnot station you can bet its garbage. There were so many things wrong with this pathetic attempt at trying to show the earth is a sphere.

Here the text breaks off for records of molecules.
/*
{
  "formula": "C34H53BaBrN2P2",
  "method": "ωB97M-V with the def2-TZVPD basis set",
  "lumo_energy_ev": -5.79,
  "total_charge": 2,
  "max_force_ev_per_a": 3.1,
  "de_lowest_kcal_mol": 0.0,
  "molar_mass_da": 768.99,
  "energy_ha": -4718.54682,
  "elements": ["Ba", "Br", "P", "P", "N", "N", "C", "C", "C", "C", "C", "C", "C", "C", "C", "C", "C", "C", "C", "C", "C", "C", "C", "C", "C", "C", "C", "C", "C", "C", "C", "C", "C", "C", "C", "C", "C", "C", "C", "C", "H", "H", "H", "H", "H", "H", "H", "H", "H", "H", "H", "H", "H", "H", "H", "H", "H", "H", "H", "H", "H", "H", "H", "H", "H", "H", "H", "H", "H", "H", "H", "H", "H", "H", "H", "H", "H", "H", "H", "H", "H", "H", "H", "H", "H", "H", "H", "H", "H", "H", "H", "H", "H"],
*/
The records of molecules stop here.

I think they misspelled bollocks. More propaganda to convince the morons that terrorists are everywhere.

This video was really super, I have seen it 2 times (when I walk to my work) and I have download it to. 10 points!

You know it!!

On his way to check his go fraud me account no doubt.

A video about bollards – without bollards. Good for your city.

Who owns interest in the ballards company? Family of a political crook probably.

== Molecular data from another source follow ==
-- begin --
The following is a DFT calculation (wB97M-V/def2-TZVPD) of C33H38Ge2N3O2PdS2 as an isolated structure.

Structure (XYZ):
```
81
C33H38Ge2N3O2PdS2, DFT wB97M-V/def2-TZVPD
Pd -0.08249 -0.24487 0.86622
C -3.27755 -2.33581 -0.27698
C -2.11377 -3.31931 -0.18328
Ge -0.35052 -2.62777 0.32976
C 0.40508 -2.88552 2.12884
C 1.55264 -1.88531 2.32604
C 1.03877 -3.11298 -0.91750
C 1.82777 -2.18327 -1.45516
Ge 1.43322 -0.28447 -1.12173
C 0.89204 0.50617 -2.83391
C 1.91628 0.31382 -3.95739
C 2.90737 0.65106 -0.17792
C 3.61300 1.70898 -1.02904
C 2.90914 -2.51992 -2.41308
C 4.16265 -1.91639 -2.32593
C 5.16078 -2.22581 -3.23645
C 4.91436 -3.13130 -4.25818
C 3.66689 -3.73190 -4.35922
C 2.67173 -3.42934 -3.44395
H -4.21140 -2.87814 -0.42609
H -3.14874 -1.66271 -1.12290
H -3.38533 -1.72810 0.62407
H -1.94669 -3.79734 -1.15133
H -2.34180 -4.12446 0.52165
H 0.80387 -3.90394 2.15559
H -0.33827 -2.79393 2.91504
H 2.30323 -1.97333 1.54015
H 2.05462 -2.04178 3.28229
H 1.22130 -0.82792 2.39578
H 1.20983 -4.16444 -1.14913
H 0.68928 1.56365 -2.68661
H -0.05725 0.03764 -3.09600
H 2.87229 0.78366 -3.72772
H 1.53852 0.77448 -4.87118
H 2.10564 -0.73720 -4.17012
H 3.60976 -0.11366 0.15949
H 2.50040 1.09375 0.73469
H 4.14271 1.25116 -1.86460
H 4.34569 2.26133 -0.43882
H 2.90901 2.43096 -1.44779
H 4.36787 -1.21065 -1.53049
H 6.13224 -1.75812 -3.14849
H 5.68929 -3.36623 -4.97498
H 3.46563 -4.43262 -5.15839
H 1.69165 -3.88004 -3.53949
N -3.05399 0.89594 3.99317
C -3.64133 -0.35516 4.00505
C -4.80094 -0.83015 4.60635
C -5.09363 -2.16426 4.41488
C -4.25624 -2.99329 3.65105
C -3.10822 -2.51111 3.05940
C -2.79524 -1.16311 3.23913
N -1.72104 -0.40660 2.77896
C -1.92113 0.79956 3.25067
C -1.00328 1.91915 3.05431
C -1.17799 3.20577 3.46175
S 0.21021 4.12725 3.10572
C 0.93100 2.74728 2.41968
N 0.20383 1.66771 2.44438
H -3.37997 1.71132 4.48125
H -5.44209 -0.18860 5.19539
H -5.98473 -2.58219 4.86185
H -4.51953 -4.03473 3.52839
H -2.47399 -3.16419 2.47398
H -2.02777 3.65179 3.95033
H 1.92476 2.78914 2.00098
O -1.82977 7.26925 -1.87024
C -0.80724 6.51550 -1.42577
O 0.24932 7.02494 -1.18065
C -1.04359 5.04438 -1.24663
C 0.03156 4.29564 -0.78270
C -0.09159 2.93754 -0.56498
C -1.29668 2.28321 -0.80239
S -1.61529 0.56328 -0.56247
C -2.37297 3.02887 -1.28781
C -2.24377 4.38865 -1.50719
H -2.62003 6.74247 -2.02905
H 0.96784 4.80901 -0.60226
H 0.76131 2.37399 -0.22365
H -3.31640 2.53841 -1.49116
H -3.11214 4.91525 -1.88551
```

Summary:
**Max |F|**: 0.3 eV/Å
**Molar mass**: 824.46 g mol⁻¹
**LUMO energy**: -3.7 eV
**Energy above the lowest of the compared OMol25 structures with the same formula, charge and spin**: 0.00 kcal/mol
**Charge**: +1
**Gap between HOMO and LUMO**: 6.845 eV

=====

C6H5N | ωB97M-V/def2-TZVPD

Structure (XYZ):
```
12
Properties=species:S:1:pos:R:3:lowdin_charge:R:1
C 1.36 1.71 -0.53 0.18
C 0.90 0.58 -0.39 -0.21
C 1.51 -1.13 -0.29 0.02
N 0.26 -1.64 0.20 -0.07
C -0.32 -0.41 -0.33 -0.37
C -1.38 0.16 0.50 -0.08
C -2.27 0.60 1.18 0.14
H 1.91 2.62 -0.58 0.05
H 1.51 -1.35 -1.38 0.06
-- stop --

Opening reminded me of Month Python skit music. How long will it take them to get back to you? Is there a protocol where they have a certain time to do their thing then get back to you? Sutherland Springs and Rezdicki, hopefully you kill two birds with one stone type deal. 👏

Hey it’s amazing all these people supposedly died and you couldn’t find any evidence of bullet holes or damage at the scene... must have been a rehearsal on the day or something....But they certainly do all appear to be in on it in some way shape or form.....The more I watch the more I am starting to wonder if they’re really human at all ??? Everybody you seem to meet in that county whether to lodge complaints or talk too seems to be a clean slate with no obvious personality, history or purpose.... You may be stumbling into something bigger than you realise... and it’s worldwide ..... take care mate !!!

Look how they’re trying to trade on emotions..... This is life actors at work. The problem is there appears to be a lot of them all working together.